Request.
It remains to return the lines below from the line with "0.777" to the end unchanged.
Source.
Entry 1:
Here is Ta2Ti3Nb4 after structural relaxation from Alexandria. Energies are from PBE.

Lattice parameters (Å, degrees): 5.078 8.082 8.083 82.70 85.18 85.17
Fractional coordinates of all 18 atoms:
Ta 0.079 0.189 0.354
Ta 0.421 0.646 0.810
Ta 0.579 0.354 0.190
Ta 0.921 0.811 0.646
Ti 0.010 0.170 0.027
Ti 0.250 0.504 0.496
Ti 0.490 0.973 0.830
Ti 0.510 0.027 0.170
Ti 0.750 0.496 0.504
Ti 0.990 0.830 0.973
Nb 0.025 0.161 0.695
Nb 0.072 0.514 0.155
Nb 0.429 0.844 0.485
Nb 0.474 0.305 0.839
Nb 0.526 0.695 0.161
Nb 0.571 0.156 0.515
Nb 0.928 0.486 0.845
Nb 0.975 0.839 0.305

SG	P-1, No. 2
DOS at the Fermi energy	10.79	states/eV/f.u.
ΔH_f (0 K)	121	meV per atom
energy	-173.154	eV/cell
total magnetization	0.00	μB/cell

***

Entry 2:
Here is Ta2TiNb after structural relaxation from Alexandria. Energies are from PBE.

Lattice parameters (Å, degrees): 4.662 4.662 4.662 60.00 60.00 60.00
Fractional coordinates of all 4 atoms:
Ta 0.000 0.000 0.000
Ta 0.250 0.250 0.250
Ti 0.500 0.500 0.500
Nb 0.750 0.750 0.750

SG	F-43m, No. 216
DOS at the Fermi energy	8.66	states/eV/f.u.
ΔH_f (0 K)	43	meV per atom
energy	-41.499	eV/cell
total magnetization	0.03	μB/cell

***

Entry 3:
Here is Ta3TiNb3 after structural relaxation from Alexandria. Energies are from PBE.

Lattice parameters (Å, degrees): 7.175 4.695 8.111 90.00 112.24 90.00
Fractional coordinates of all 14 atoms:
Ta 0.000 0.250 0.246
Ta 0.000 0.750 0.754
Ta 0.140 0.750 0.465
Ta 0.286 0.250 0.679
Ta 0.714 0.750 0.321
Ta 0.860 0.250 0.535
Ti 0.282 0.750 0.177
Ti 0.718 0.250 0.823
Nb 0.140 0.250 0.961
Nb 0.431 0.250 0.398
Nb 0.434 0.750 0.891
Nb 0.566 0.250 0.109
Nb 0.569 0.750 0.602
Nb 0.860 0.750 0.039

SG	P2_1/m, No. 11
DOS at the Fermi energy	11.36	states/eV/f.u.
ΔH_f (0 K)	5	meV per atom
energy	-147.248	eV/cell
total magnetization	0.00	μB/cell

***

Entry 4:
Here is Ta2Ti4Nb after structural relaxation from Alexandria. Energies are from PBE.

Lattice parameters (Å, degrees): 2.863 7.108 7.118 118.45 95.96 98.39
Fractional coordinates of all 7 atoms:
Ta 0.134 0.354 0.072
Ta 0.866 0.646 0.928
Ti 0.220 0.225 0.645
Ti 0.483 0.071 0.223
Ti 0.517 0.929 0.777
Ti 0.780 0.775 0.355
Nb 0.000 0.500 0.500

SG	P-1, No. 2
DOS at the Fermi energy	11.87	states/eV/f.u.
ΔH_f (0 K)	50	meV per atom
energy	-65.002	eV/cell
total magnetization	0.00	μB/cell

***

Entry 5:
Here is Ta3Ti2Nb after structural relaxation from Alexandria. Energies are from PBE.

Lattice parameters (Å, degrees): 4.652 6.596 7.174 76.29 90.00 89.99
Fractional coordinates of all 12 atoms:
Ta 0.249 0.291 0.331
Ta 0.250 0.623 0.000
Ta 0.250 0.957 0.669
Ta 0.750 0.043 0.331
Ta 0.750 0.377 0.000
Ta 0.751 0.709 0.669
Ti 0.250 0.126 0.001
Ti 0.251 0.461 0.662
Ti 0.749 0.539 0.338
Ti 0.750 0.874 0.999
Nb 0.250 0.793 0.330
Nb 0.750 0.207 0.670

SG	P-1, No. 2
DOS at the Fermi energy	10.76	states/eV/f.u.
ΔH_f (0 K)	45	meV per atom
energy	-122.290	eV/cell
total magnetization	0.00	μB/cell

***

Entry 6:
Here is TaTiNb3 after structural relaxation from Alexandria. Energies are from PBE.

Lattice parameters (Å, degrees): 7.528 7.528 10.140 115.18 115.18 20.81
Fractional coordinates of all 10 atoms:
Ta 0.076 0.076 0.454
Ta 0.924 0.924 0.546
Ti 0.380 0.380 0.257
Ti 0.620 0.620 0.743
Nb 0.172 0.172 0.039
Nb 0.226 0.226 0.351
Nb 0.473 0.473 0.845
Nb 0.527 0.527 0.155
Nb 0.774 0.774 0.649
Nb 0.828 0.828 0.961

SG	C2/m, No. 12
DOS at the Fermi energy	6.44	states/eV/f.u.
ΔH_f (0 K)	177	meV per atom
energy	-98.144	eV/cell
total magnetization	0.61	μB/cell

***

Entry 7:
Here is TaTiNbTl after structural relaxation from Alexandria. Energies are from PBE.

Lattice parameters (Å, degrees): 4.740 4.740 4.740 60.00 60.00 60.00
Fractional coordinates of all 4 atoms:
Ta 0.000 0.000 0.000
Ti 0.250 0.250 0.250
Nb 0.750 0.750 0.750
Tl 0.500 0.500 0.500

SG	F-43m, No. 216
DOS at the Fermi energy	4.36	states/eV/f.u.
ΔH_f (0 K)	222	meV per atom
energy	-31.297	eV/cell
total magnetization	0.00	μB/cell

***

Entry 8:
Outcome.
Ti 0.517 0.929 0.777
Ti 0.780 0.775 0.355
Nb 0.000 0.500 0.500

SG	P-1, No. 2
DOS at the Fermi energy	11.87	states/eV/f.u.
ΔH_f (0 K)	50	meV per atom
energy	-65.002	eV/cell
total magnetization	0.00	μB/cell

***

Entry 5:
Here is Ta3Ti2Nb after structural relaxation from Alexandria. Energies are from PBE.

Lattice parameters (Å, degrees): 4.652 6.596 7.174 76.29 90.00 89.99
Fractional coordinates of all 12 atoms:
Ta 0.249 0.291 0.331
Ta 0.250 0.623 0.000
Ta 0.250 0.957 0.669
Ta 0.750 0.043 0.331
Ta 0.750 0.377 0.000
Ta 0.751 0.709 0.669
Ti 0.250 0.126 0.001
Ti 0.251 0.461 0.662
Ti 0.749 0.539 0.338
Ti 0.750 0.874 0.999
Nb 0.250 0.793 0.330
Nb 0.750 0.207 0.670

SG	P-1, No. 2
DOS at the Fermi energy	10.76	states/eV/f.u.
ΔH_f (0 K)	45	meV per atom
energy	-122.290	eV/cell
total magnetization	0.00	μB/cell

***

Entry 6:
Here is TaTiNb3 after structural relaxation from Alexandria. Energies are from PBE.

Lattice parameters (Å, degrees): 7.528 7.528 10.140 115.18 115.18 20.81
Fractional coordinates of all 10 atoms:
Ta 0.076 0.076 0.454
Ta 0.924 0.924 0.546
Ti 0.380 0.380 0.257
Ti 0.620 0.620 0.743
Nb 0.172 0.172 0.039
Nb 0.226 0.226 0.351
Nb 0.473 0.473 0.845
Nb 0.527 0.527 0.155
Nb 0.774 0.774 0.649
Nb 0.828 0.828 0.961

SG	C2/m, No. 12
DOS at the Fermi energy	6.44	states/eV/f.u.
ΔH_f (0 K)	177	meV per atom
energy	-98.144	eV/cell
total magnetization	0.61	μB/cell

***

Entry 7:
Here is TaTiNbTl after structural relaxation from Alexandria. Energies are from PBE.

Lattice parameters (Å, degrees): 4.740 4.740 4.740 60.00 60.00 60.00
Fractional coordinates of all 4 atoms:
Ta 0.000 0.000 0.000
Ti 0.250 0.250 0.250
Nb 0.750 0.750 0.750
Tl 0.500 0.500 0.500

SG	F-43m, No. 216
DOS at the Fermi energy	4.36	states/eV/f.u.
ΔH_f (0 K)	222	meV per atom
energy	-31.297	eV/cell
total magnetization	0.00	μB/cell

***

Entry 8: